By Rod Roberts
On January 9, 2007, the newly elected speaker of the Iowa House gaveled the 82nd General Assembly into session. True to the traditions of the Iowa House, the speaker invited a special guest pastor to bring the invocation that morning.
To the surprise of many, the guest invited to pray for the General Assembly was a Des Moines-area Muslim imam. The gesture was, in part, recognition of the election of Iowa”s first Muslim state legislator, who was from Des Moines. In fact, the state Capitol in Des Moines is located in this legislator”s district.
The imam brought the invocation, praying first in Arabic, and then translated the prayer into English for everyone to understand. The prayer was a traditional Muslim prayer.
To say the least, the imam and his prayer overshadowed all the other news coming out of Iowa”s Statehouse that day. A number of House members were upset, particularly those who either had a strong evangelical faith background, or as was the case of one member, who had two sons in the military with one soon to be deployed to Iraq.
On January 12 of this year, the same speaker of the Iowa House gaveled the 83rd General Assembly into session. Unlike two years ago, the speaker chose to be more inclusive and invited three individuals to share an opening prayer, including a Reformed Jewish rabbi, an African-American Baptist preacher, and my Muslim colleague who was re-elected to his second term as a state representative.
There was much less controversy over this invocation. However, just a few days before the start of this year”s legislative session, all 100 members of the Iowa House and all 50 members of the Iowa Senate received a letter from an official “atheist” association stating an opinion that the state of Iowa should no longer compensate guest pastors their $10 honorarium and mileage reimbursement. This practice, the association argued, is an inappropriate use of tax dollars in lean, economic times.
I share this information only to illustrate from my personal experience how the issue of religion”s proper role in government continues to be debated throughout the United States. Undoubtedly you have your own local or state controversies over the infusion of religion in the public square.
“What is the proper role, if any, of religion in government?” This important debate will continue to energize some people and frustrate many others. It is a question I personally will wrestle with as I serve as a state legislator.
As important as that question is, a second question is equally important to me: “What is the proper role of religion or personal faith in the lives of those who serve in government?”
As a legislator with a vocational background as a Christian minister, I find this question extremely important. All state legislators would acknowledge that their personal commitment to public service originates in personal beliefs that flow out of their worldview. Many of these beliefs stem from a religious or faith perspective. They help shape a legislator”s views of government”s purpose and one”s personal conduct as a government official.
That is the case with me. My personal beliefs concerning government and public service are shaped by Scripture.
Perhaps no passage in the New Testament has shaped my thinking more than the apostle Paul”s words in Romans 13:1-7, which begins, “Everyone must submit himself to the governing authorities, for there is no authority except that which God has established.”
Paul lays out a coherent, spiritually mature theology about the origin and importance of civil government, particularly in verses 1-4.
To begin with, civil government is an institution designed by God as a result of mankind”s fallen, sinful nature. It is distinct and separate from the church, but God”s design is that civil government administer justice. Paul does not spend time describing an “official” system of government that God has ordained (i.e., monarchy, democracy, or a system based on socialism or communism), but he does teach that the concept of civil government has its origin with God himself.
This theology then shapes the Christian”s attitude or thinking toward civil government. As Paul says, “It is necessary to submit to the authorities” (v. 5). In a democratic society such as ours we have the wonderful freedom to debate the scope and authority of government, but overall the Christian is to have a healthy respect for what God has ordained.
Quantum chemistry results, as found in the file
<<<
# 1
DFT (ωB97M-V/def2-TZVPD) results for C4H16InN8O4 as an isolated structure.

## Properties
Highest occupied orbital energy = -18.57 eV
Kohn-Sham gap = 2.520 eV
Net charge = +3
LUMO energy = -16.1 eV

Positions of all 33 atoms, in Å:
In (-0.3584, -1.1352, -1.3800)
C (0.9700, -1.0831, -5.1449)
O (0.8181, -0.7066, -4.0437)
N (2.0734, -1.5427, -5.7254)
N (-0.1076, -1.3864, -5.8020)
H (2.0244, -2.1482, -6.5323)
H (2.8808, -1.7940, -5.1731)
H (0.0212, -1.6955, -6.7549)
H (-0.9394, -1.2450, -5.2468)
C (-2.2331, -0.9375, 2.2725)
O (-1.8257, -0.9130, 1.1175)
N (-2.3071, -2.0343, 2.9737)
N (-2.7483, 0.1060, 2.9101)
H (-1.8214, -2.7543, 2.4582)
H (-2.9097, -2.0229, 3.7841)
H (-2.9372, 0.0560, 3.9010)
H (-3.0756, 0.8672, 2.3325)
C (1.6202, -0.8007, 2.1043)
O (0.9636, -1.1775, 1.1736)
N (2.9021, -0.6458, 2.0795)
N (1.1320, -0.2712, 3.1499)
H (3.5362, -0.7207, 1.2969)
H (3.3923, -0.3060, 2.8946)
H (1.6597, -0.2473, 4.0108)
H (0.1286, -0.1627, 3.1111)
C (-0.3003, 2.6083, 0.4225)
O (-0.1256, 1.4091, 0.1162)
N (-1.4788, 3.1217, 0.4893)
N (0.6983, 3.4239, 0.6480)
H (-1.5857, 4.1031, 0.7025)
H (-2.2809, 2.5903, 0.1822)
H (0.5661, 4.3649, 0.9903)
H (1.6475, 3.0803, 0.6819)

# 2
DFT (ωB97M-V/def2-TZVPD) results for C4H16MnO12S2 as an isolated structure.

## Properties
Highest occupied orbital energy (spin up / spin down) = -0.93 / -0.93 eV
Kohn-Sham gap (spin up / spin down) = 5.440 / 5.425 eV
Multiplicity = 6
Net charge = -2
LUMO energy (spin up / spin down) = 4.5 / 4.5 eV
⟨S²⟩ = 8.75

Positions of all 35 atoms, in Å:
Mn (0.4981, -0.0008, -0.1019)
S (-2.3899, 1.0573, 1.2109)
O (-2.0157, 2.2726, 1.8644)
O (-2.5611, -0.0070, 2.1920)
O (-3.6499, 1.1948, 0.4148)
O (-1.2950, 0.6982, 0.2994)
S (1.5212, -2.4857, -0.7135)
O (0.0881, -2.0036, -0.5386)
O (1.7446, -2.9196, -2.0938)
O (2.1974, -1.2266, -0.3886)
O (1.9102, -3.5170, 0.2281)
C (2.0271, 0.3751, 2.8687)
O (0.9664, -0.0542, 2.0330)
H (2.3787, -0.5894, 3.2422)
H (2.8152, 0.7818, 2.2375)
H (1.6489, 0.9979, 3.6794)
H (0.3923, -0.6914, 2.4698)
C (-0.7477, 1.2059, -2.7393)
O (0.0624, 0.1815, -2.1781)
H (-1.8034, 0.9583, -2.6081)
H (-0.6850, 2.1584, -2.2156)
H (-0.5432, 1.2282, -3.8109)
H (0.1093, -0.5658, -2.7809)
C (-2.9888, -2.2932, -0.4421)
O (-2.1106, -2.4475, 0.6915)
H (-2.6679, -2.9776, -1.2320)
H (-4.0244, -2.5440, -0.2057)
H (-3.0377, -1.2743, -0.8307)
H (-1.2626, -2.3403, 0.2274)
C (2.6027, 2.4148, -0.2087)
O (1.2882, 1.9340, 0.0885)
H (3.3402, 1.6803, -0.5268)
H (2.4541, 3.0738, -1.0675)
H (2.9769, 3.0196, 0.6185)
H (0.7612, 2.7059, 0.3166)

# 3
DFT (ωB97M-V/def2-TZVPD) results for a 3-piece molecular cluster, C4H16N2O2 overall.

## Properties
Structure (SMILES) = CN(C)CCN.O.O
Highest occupied orbital energy = -8.70 eV
Kohn-Sham gap = 9.264 eV
Net charge = 0
LUMO energy = 0.6 eV

Positions of all 24 atoms, in Å:
N (0.8731, 0.0995, -2.8308)
C (1.2194, -0.9403, -1.8978)
C (1.3781, -0.3546, -0.4687)
N (0.0663, 0.1147, 0.1139)
C (0.4924, 0.6825, 1.5229)
C (-0.9611, -0.9510, 0.0691)
H (0.0348, 0.5902, -2.5674)
>>>
As I stated earlier, I believe Paul”s teaching establishes the universal principle that government exists to administer justice. In a fallen world God has ordained that government exists to “bring punishment on the wrongdoer” or lawbreaker (v. 4) and protect those who obey the law and live peaceably. The apostle Peter affirms this thinking in 1 Peter 2:13-17:
Submit yourselves for the Lord”s sake to every authority instituted among men: whether to the king, as the supreme authority, or to governors, who are sent by him to punish those who do wrong and to commend those who do right. For it is God”s will that by doing good you should silence the ignorant talk of foolish men. Live as free men, but do not use your freedom as a cover-up for evil; live as servants of God. Show proper respect to everyone: Love the brotherhood of believers, fear God, honor the king.
This theology about government (vv. 1-4) and corresponding attitude (v. 5) then affects my actions or behavior toward civil government (see vv. 6 and 7).
Paul develops a very poignant correlation between the Christian”s understanding of civil government and the mission of the church in 1 Timothy 2:1-4:
I urge, then, first of all, that requests, prayers, intercession and thanksgiving be made for everyone””for kings and all those in authority, that we may live peaceful and quiet lives in all godliness and holiness. This is good and pleases God our Savior, who wants all men to be saved and to come to knowledge of the truth.
## Someone pasted molecular data at this point
16
Properties=species:S:1:pos:R:3:forces:R:3:lowdin_charge:R:1 method="wB97M-V/def2-TZVPD" smiles=CN1CC(N)C1 total_charge=0 e_homo_ev=-8.56
N 0.9706 0.0403 -0.4810 0.72 -0.21 0.49 -0.208
N -2.2172 -0.0451 0.5009 -0.59 0.64 -0.43 0.020
C -0.0211 1.0835 -0.1933 -0.09 0.39 0.46 -0.154
C -1.1224 0.0584 -0.4628 -0.50 -0.57 -0.42 -0.372
C 2.1677 -0.0350 0.3478 -0.09 -0.20 -0.30 -0.104
C -0.0276 -1.0068 -0.2730 -0.45 0.35 -0.01 -0.162
H -2.7626 -0.8812 0.2773 0.16 0.26 0.14 0.072
H 1.8996 -0.0556 1.4268 0.28 0.10 -0.32 0.082
H 0.0443 1.9652 -0.8367 -0.02 -0.06 0.05 0.106
H -0.1119 -1.4191 0.7391 0.31 0.13 0.18 0.115
H -1.4601 0.0870 -1.5132 0.09 0.09 0.28 0.136
H 2.7364 -0.9630 0.1040 -0.41 0.64 0.15 0.088
H 0.0404 -1.8134 -0.9774 -0.05 -0.51 -0.42 0.099
H -2.8700 0.7481 0.3640 0.51 -0.64 0.17 0.080
H -0.0669 1.4069 0.8699 0.18 -0.19 -0.34 0.121
H 2.8009 0.8297 0.1075 -0.05 -0.23 0.31 0.079

55
Properties=species:S:1:pos:R:3:forces:R:3:lowdin_charge:R:1 method="wB97M-V/def2-TZVPD" total_charge=+2 e_homo_ev=-14.81
Ir 0.6912 0.8111 0.5841 0.08 0.15 -0.08 1.108
Se -1.6210 1.4621 1.1950 0.03 0.03 -0.02 0.931
Ge -3.7621 -1.2250 0.1306 -0.04 -0.01 0.04 0.789
N 4.5548 1.9204 -0.5102 0.04 -0.04 -0.03 0.210
N 2.7346 0.6297 0.2670 -0.10 0.00 0.02 0.007
N 1.0214 2.4550 -0.5273 -0.05 -0.10 0.07 -0.070
N 6.6700 1.1049 -0.1801 0.01 -0.01 -0.01 0.224
N 4.9331 -0.1957 0.5323 -0.02 0.00 -0.03 0.200
N 3.1653 -1.4419 1.2353 0.02 -0.06 0.03 0.223
C 2.3208 2.7122 -0.8086 -0.03 0.06 -0.05 -0.165
C 0.3964 4.4055 -1.7353 0.00 0.00 0.00 0.008
C 0.5597 -3.5672 -0.4582 0.00 0.01 -0.03 -0.045
C 0.0530 -2.9960 0.6910 -0.05 0.02 0.05 -0.068
C -3.0456 0.6624 0.1251 0.04 0.01 0.02 -0.513
C 0.0769 3.2858 -0.9925 0.02 0.02 -0.01 -0.095
C 3.2936 1.7080 -0.3279 0.02 0.01 0.04 -0.280
C 1.7257 4.6842 -2.0044 0.00 0.02 -0.01 0.021
C -5.6380 -0.9030 -0.2644 0.00 -0.01 0.00 -0.207
C 5.3697 0.9249 -0.0410 -0.02 0.01 0.03 -0.391
C 2.7028 3.8182 -1.5345 0.01 -0.02 0.01 0.045
C 0.2762 -0.8349 -0.3289 -0.03 0.08 0.14 -0.359
C 3.6258 -0.3316 0.6702 0.01 0.07 -0.02 -0.403
C -0.1418 -1.6048 0.7566 0.00 -0.28 -0.08 -0.204
C -2.9283 -2.2180 -1.3210 -0.02 0.01 -0.01 -0.188
C -1.9664 0.7959 2.9826 -0.03 -0.03 -0.05 -0.320
C -3.6159 -2.1284 1.8569 0.03 0.03 -0.01 -0.206
C 0.7761 -1.3902 -1.4959 0.03 -0.02 -0.04 -0.077
C 0.8943 -2.7690 -1.5567 0.02 0.02 0.00 -0.036
H 7.0195 1.9416 -0.6160 0.00 0.00 0.00 0.133
H -4.1994 -3.0479 1.7932 -0.01 0.01 -0.02 0.039
H -1.8422 -2.1893 -1.2915 -0.01 -0.01 0.00 -0.018
H -2.5999 -2.4126 2.1289 0.01 0.02 0.01 -0.002
H -0.6815 -1.2043 1.6064 0.01 0.10 0.02 0.056
H 1.9999 5.5597 -2.5770 0.00 0.00 0.00 0.136
H 3.8430 -2.1387 1.5004 -0.01 -0.01 0.01 0.138
H -5.7516 -0.3225 -1.1800 0.00 0.00 0.00 0.033
H -2.9436 1.1755 3.2717 0.00 0.00 0.01 0.052
H -3.8854 1.3166 0.3658 -0.03 -0.02 -0.01 0.020
H -4.0488 -1.5259 2.6550 0.01 0.00 0.02 0.028
H 7.3108 0.4001 0.1463 0.00 0.00 0.00 0.136
H -6.1247 -0.3684 0.5513 -0.01 0.00 0.00 0.033
H -1.9635 -0.2868 3.0167 0.00 -0.07 0.01 0.006
The apostle states that the Christian should actively engage in asking for God”s blessing upon those who serve in civil government. A stable and peaceable government, where those who govern are conscientious about their service, makes it possible for the church to effectively carry out its mission of sharing the gospel of Jesus Christ throughout the world. This truth has certainly been demonstrated in the history of the United States.
Other students of the Scriptures may have slightly different views of these highlighted passages in the New Testament, but as a person of Christian faith, I share them as a way to help explain my approach to public service. These verses have been a positive motivation in my life as I have sought to serve both the Lord and the people of Iowa as a lawmaker.
Rod Roberts serves as executive director with Christian Evangelistic Mission of Iowa and as an Iowa state legislator.